Brief >
Your job: type out the lines below without altering anything.

Listing >
~~~
2 unconnected molecules or ions with the total composition C12H14N3 at a distorted geometry, computed with ωB97M-V/def2-TZVPD.

As for the total charge: +1. The value obtained for the orbital gap (alpha / beta) is 0.2309 / 0.2310 Ha. As for the calculated total energy: -629.52893 a.u. The HOMO energy (alpha / beta) is -10.70 / -10.70 eV. Its energy above the lowest of the compared OMol25 structures with the same formula, charge and spin is 352.7 kJ/mol.

Geometry (Å):
H1 0.380 0.104 1.577
N1 -1.359 1.135 -1.078
C1 1.507 0.805 -0.033
H2 2.029 -1.823 2.178
H3 -3.256 -2.449 1.053
H4 -0.061 -1.276 -1.711
H5 -0.931 -3.130 0.127
C2 2.753 -1.681 0.112
C3 -2.560 -1.829 0.420
H6 2.669 1.085 -1.823
H7 -0.791 1.334 -1.882
C4 2.411 0.380 -1.042
C5 3.056 -0.865 -0.984
C6 2.097 -1.246 1.232
C7 -3.910 0.124 -0.207
H8 -4.727 -0.255 0.408
C8 0.894 2.057 -0.207
H9 -3.945 1.041 -0.782
C9 -1.449 -2.286 -0.203
H10 3.715 -1.128 -1.698
H11 3.338 -2.655 0.131
C10 -2.756 -0.494 -0.045
C11 1.336 -0.059 1.111
C12 -0.905 -1.215 -0.989
H12 0.517 2.514 1.753
N2 0.430 2.830 0.691
H13 0.905 2.366 -1.259
H14 0.288 3.801 0.525
N3 -1.610 -0.106 -0.792

Cartesian forces (eV/Å) of the 3 atoms listed first:
0.2 0.1 1.4
-0.9 2.1 0.7
1.4 -3.0 0.9

=====

1.
Density functional theory data (wB97M-V/def2-TZVPD) for 2 unconnected molecules or ions with the total composition C3H11N2 at a distorted geometry.

Last column: Mulliken charge in e.
CARTESIAN COORDINATES (ANGSTROEM)
C -1.929 1.178 -0.448  -0.732
N -0.856 1.247 0.566  -0.681
H -2.359 2.154 -0.601  0.329
H -1.577 0.785 -1.402  0.224
H -2.735 0.535 -0.108  0.283
H -1.069 0.675 1.376  0.278
H -0.692 2.195 0.881  0.263
H 0.389 0.397 -0.053  0.288
C 1.214 -1.936 0.878  -0.653
C 1.396 -1.489 -0.340  -0.011
N 1.270 -0.028 -0.569  -0.220
H 0.955 -1.358 1.755  0.252
H 1.203 -2.993 1.121  0.260
H 1.532 -2.039 -1.260  0.332
H 1.173 0.194 -1.565  0.390
H 2.084 0.483 -0.231  0.399

2S+1	1
HOMO-LUMO gap	11.39	eV
total charge	+1
relative energy (zero: lowest compared OMol25 entry of this formula, charge and spin)	114.0	kJ/mol
LUMO energy	-3.1473	eV

2.
Density functional theory data (wB97M-V/def2-TZVPD) for a single C2H2NOP molecule at a distorted geometry.

Last column: Mulliken charge in e.
CARTESIAN COORDINATES (ANGSTROEM)
C 0.534 -0.684 0.093  -0.049
C -0.570 0.085 -0.490  0.393
N 1.442 -0.179 0.848  -0.546
O -1.076 1.341 -0.205  -0.407
P -2.005 0.287 -1.319  -0.060
H 0.512 -1.706 0.092  0.402
H 1.163 0.856 0.981  0.267

2S+1	1
HOMO-LUMO gap (spin up / spin down)	7.44 / 7.12	eV
relative energy (zero: lowest compared OMol25 entry of this formula, charge and spin)	251.8	kJ/mol
LUMO energy (spin up / spin down)	-0.9739 / -1.2360	eV

3.
Density functional theory data (wB97M-V/def2-TZVPD) for a molecular structure, C4H6NaO2 at a distorted geometry.

Last column: Mulliken charge in e.
CARTESIAN COORDINATES (ANGSTROEM)
H -0.484 -0.313 -1.463  0.207
O -2.564 0.748 -0.100  -0.328
C -1.275 0.813 -0.232  -0.409
C -0.650 -0.509 -0.328  -0.137
C 0.685 -0.938 0.259  -0.629
C 1.899 -0.085 0.089  0.140
O 1.903 1.085 -0.243  -0.581
Na 0.354 2.658 0.229  0.979
H -2.899 1.498 0.409  0.387
H -1.388 -1.286 -0.070  0.329
H 0.951 -1.925 -0.148  0.344
H 0.606 -1.140 1.341  0.334
H 2.864 -0.607 0.258  0.365

2S+1	1
HOMO-LUMO gap	9.27	eV
total charge	+1
relative energy (zero: lowest compared OMol25 entry of this formula, charge and spin)	0.0	kJ/mol
LUMO energy	-3.8825	eV

4.
Density functional theory data (wB97M-V/def2-TZVPD) for a single CH3N3S molecule at a distorted geometry.

Last column: Mulliken charge in e.
CARTESIAN COORDINATES (ANGSTROEM)
C -1.960 -0.155 -0.135  0.342
N -2.220 -1.262 -0.077  -0.375
N 1.011 -0.429 -0.103  -0.161
N 0.545 0.620 0.568  -0.406
S -1.294 1.370 -0.238  -0.123
H 1.730 -0.335 -0.718  0.202
H 1.198 -1.304 0.347  0.236
H 0.990 1.495 0.356  0.285

2S+1	1
HOMO-LUMO gap	8.56	eV
relative energy (zero: lowest compared OMol25 entry of this formula, charge and spin)	106.8	kJ/mol
LUMO energy	-0.7016	eV

5.
~~~

Completed >
2 unconnected molecules or ions with the total composition C12H14N3 at a distorted geometry, computed with ωB97M-V/def2-TZVPD.

As for the total charge: +1. The value obtained for the orbital gap (alpha / beta) is 0.2309 / 0.2310 Ha. As for the calculated total energy: -629.52893 a.u. The HOMO energy (alpha / beta) is -10.70 / -10.70 eV. Its energy above the lowest of the compared OMol25 structures with the same formula, charge and spin is 352.7 kJ/mol.

Geometry (Å):
H1 0.380 0.104 1.577
N1 -1.359 1.135 -1.078
C1 1.507 0.805 -0.033
H2 2.029 -1.823 2.178
H3 -3.256 -2.449 1.053
H4 -0.061 -1.276 -1.711
H5 -0.931 -3.130 0.127
C2 2.753 -1.681 0.112
C3 -2.560 -1.829 0.420
H6 2.669 1.085 -1.823
H7 -0.791 1.334 -1.882
C4 2.411 0.380 -1.042
C5 3.056 -0.865 -0.984
C6 2.097 -1.246 1.232
C7 -3.910 0.124 -0.207
H8 -4.727 -0.255 0.408
C8 0.894 2.057 -0.207
H9 -3.945 1.041 -0.782
C9 -1.449 -2.286 -0.203
H10 3.715 -1.128 -1.698
H11 3.338 -2.655 0.131
C10 -2.756 -0.494 -0.045
C11 1.336 -0.059 1.111
C12 -0.905 -1.215 -0.989
H12 0.517 2.514 1.753
N2 0.430 2.830 0.691
H13 0.905 2.366 -1.259
H14 0.288 3.801 0.525
N3 -1.610 -0.106 -0.792

Cartesian forces (eV/Å) of the 3 atoms listed first:
0.2 0.1 1.4
-0.9 2.1 0.7
1.4 -3.0 0.9

=====

1.
Density functional theory data (wB97M-V/def2-TZVPD) for 2 unconnected molecules or ions with the total composition C3H11N2 at a distorted geometry.

Last column: Mulliken charge in e.
CARTESIAN COORDINATES (ANGSTROEM)
C -1.929 1.178 -0.448  -0.732
N -0.856 1.247 0.566  -0.681
H -2.359 2.154 -0.601  0.329
H -1.577 0.785 -1.402  0.224
H -2.735 0.535 -0.108  0.283
H -1.069 0.675 1.376  0.278
H -0.692 2.195 0.881  0.263
H 0.389 0.397 -0.053  0.288
C 1.214 -1.936 0.878  -0.653
C 1.396 -1.489 -0.340  -0.011
N 1.270 -0.028 -0.569  -0.220
H 0.955 -1.358 1.755  0.252
H 1.203 -2.993 1.121  0.260
H 1.532 -2.039 -1.260  0.332
H 1.173 0.194 -1.565  0.390
H 2.084 0.483 -0.231  0.399

2S+1	1
HOMO-LUMO gap	11.39	eV
total charge	+1
relative energy (zero: lowest compared OMol25 entry of this formula, charge and spin)	114.0	kJ/mol
LUMO energy	-3.1473	eV

2.
Density functional theory data (wB97M-V/def2-TZVPD) for a single C2H2NOP molecule at a distorted geometry.

Last column: Mulliken charge in e.
CARTESIAN COORDINATES (ANGSTROEM)
C 0.534 -0.684 0.093  -0.049
C -0.570 0.085 -0.490  0.393
N 1.442 -0.179 0.848  -0.546
O -1.076 1.341 -0.205  -0.407
P -2.005 0.287 -1.319  -0.060
H 0.512 -1.706 0.092  0.402
H 1.163 0.856 0.981  0.267

2S+1	1
HOMO-LUMO gap (spin up / spin down)	7.44 / 7.12	eV
relative energy (zero: lowest compared OMol25 entry of this formula, charge and spin)	251.8	kJ/mol
LUMO energy (spin up / spin down)	-0.9739 / -1.2360	eV

3.
Density functional theory data (wB97M-V/def2-TZVPD) for a molecular structure, C4H6NaO2 at a distorted geometry.

Last column: Mulliken charge in e.
CARTESIAN COORDINATES (ANGSTROEM)
H -0.484 -0.313 -1.463  0.207
O -2.564 0.748 -0.100  -0.328
C -1.275 0.813 -0.232  -0.409
C -0.650 -0.509 -0.328  -0.137
C 0.685 -0.938 0.259  -0.629
C 1.899 -0.085 0.089  0.140
O 1.903 1.085 -0.243  -0.581
Na 0.354 2.658 0.229  0.979
H -2.899 1.498 0.409  0.387
H -1.388 -1.286 -0.070  0.329
H 0.951 -1.925 -0.148  0.344
H 0.606 -1.140 1.341  0.334
H 2.864 -0.607 0.258  0.365

2S+1	1
HOMO-LUMO gap	9.27	eV
total charge	+1
relative energy (zero: lowest compared OMol25 entry of this formula, charge and spin)	0.0	kJ/mol
LUMO energy	-3.8825	eV

4.
Density functional theory data (wB97M-V/def2-TZVPD) for a single CH3N3S molecule at a distorted geometry.

Last column: Mulliken charge in e.
CARTESIAN COORDINATES (ANGSTROEM)
C -1.960 -0.155 -0.135  0.342
N -2.220 -1.262 -0.077  -0.375
N 1.011 -0.429 -0.103  -0.161
N 0.545 0.620 0.568  -0.406
S -1.294 1.370 -0.238  -0.123
H 1.730 -0.335 -0.718  0.202
H 1.198 -1.304 0.347  0.236
H 0.990 1.495 0.356  0.285

2S+1	1
HOMO-LUMO gap	8.56	eV
relative energy (zero: lowest compared OMol25 entry of this formula, charge and spin)	106.8	kJ/mol
LUMO energy	-0.7016	eV

5.